- - -
Record 1
Theoretical powder XRD pattern of Li2CrP5O15 for copper Kα, from a structure optimized by DFT (GGA+U).
Kinematic intensities with the Lorentz-polarization factor, no thermal factor.

Most intense lines, 5° ≤ 2θ ≤ 70°, in order of falling intensity:
h k l, d/Å, I (rel.)
1 0 -1, 4.813, 100.0
0 0 2, 4.376, 79.9
1 2 1, 3.463, 73.9
0 0 1, 8.751, 60.3
0 2 1, 5.324, 52.7
0 1 1, 7.330, 48.1
0 3 1, 3.982, 46.5
1 2 -1, 3.910, 37.3
0 3 2, 3.129, 35.7
1 4 0, 2.795, 34.3

Structure:
Unit cell a=5.1604 b=13.4150 c=8.9295 alpha=90.00 beta=101.47 gamma=90.00
Space group P2_1/m (No. 11)
One atom of each set of equivalent atoms:
Li 0.0568 0.1179 0.0897 x4
Cr 0.5000 0.0000 0.5000 x2
P 0.0024 0.1406 0.5193 x4
P 0.3416 0.0764 0.8139 x4
P 0.4559 0.7500 0.9904 x2
O 0.0528 0.2500 0.4620 x2
O 0.1369 0.1455 0.6958 x4
O 0.1535 0.0727 0.4318 x4
O 0.1944 0.0311 0.9249 x4
O 0.1943 0.7500 0.8822 x2
O 0.2860 0.2500 0.0620 x2
O 0.2909 0.6262 0.4969 x4
O 0.4449 0.6570 0.1073 x4
O 0.4862 0.0091 0.7222 x4

***

Record 2
Theoretical powder XRD pattern of LiCrPO4 for copper Kα, from a structure optimized by DFT (GGA+U).
Kinematic intensities with the Lorentz-polarization factor, no thermal factor.

Most intense lines, 5° ≤ 2θ ≤ 70°, in order of falling intensity:
h k l, d/Å, I (rel.)
2 0 0, 3.973, 100.0
0 1 1, 4.382, 90.6
1 3 1, 2.478, 60.5
1 1 0, 6.008, 55.2
2 0 1, 3.107, 42.8
0 2 0, 4.592, 41.4
1 1 1, 3.837, 36.3
2 2 1, 2.573, 32.4
2 1 1, 2.943, 29.9
3 1 2, 1.781, 29.6

Structure:
Unit cell a=7.9445 b=9.1833 c=4.9858 alpha=90.00 beta=90.00 gamma=90.00
Space group Pna2_1 (No. 33)
One atom of each set of equivalent atoms:
Li 0.0487 0.1171 0.0000 x4
Cr 0.1651 0.5394 0.0212 x4
P 0.2308 0.3536 0.6159 x4
O 0.0598 0.4272 0.7030 x4
O 0.1386 0.9569 0.2638 x4
O 0.2242 0.1993 0.7437 x4
O 0.2395 0.8502 0.8148 x4

* * * * *

No. 1
Structure and theoretical powder diffraction line list of AlGeH2S4 (the GGA-PBE geometry in Alexandria; copper Kα).
Peak positions follow from Bragg's law for the DFT cell and can differ from measured ones.

Structural model:
Lattice parameters (Å, degrees): 6.920 7.393 6.348 90.00 90.00 90.00
Space group Pmn2_1 (No. 31)
Inequivalent atoms, fractional coordinates:
Al: 0.000 0.150 0.000
Ge: 0.000 0.846 0.502
H: 0.250 0.147 0.627
S: 0.000 0.153 0.634
S: 0.000 0.853 0.116
S: 0.248 0.310 0.117

Most intense lines, 15° ≤ 2θ ≤ 90°, by angle:
- d = 4.816 Å, 2θ 18.4, I 1000, hkl 0 1 1
- d = 3.696 Å, 2θ 24.1, I 373, hkl 0 2 0
- d = 3.174 Å, 2θ 28.1, I 681, hkl 0 0 2
- d = 3.134 Å, 2θ 28.5, I 612, hkl 2 1 0
- d = 2.007 Å, 2θ 45.2, I 524, hkl 2 3 0
- d = 1.754 Å, 2θ 52.2, I 432, hkl 2 1 3

---

No. 2
Structure and theoretical powder diffraction line list of Hf3AlGe5 (the GGA-PBE geometry in Alexandria; copper Kα).
Peak positions follow from Bragg's law for the DFT cell and can differ from measured ones.

Structural model:
Lattice parameters (Å, degrees): 3.803 3.851 44.181 90.00 90.00 90.00
Space group Amm2 (No. 38)
Inequivalent atoms, fractional coordinates:
Hf: 0.000 0.000 0.000
Hf: 0.000 0.000 0.332
Hf: 0.000 0.000 0.665
Hf: 0.500 0.000 0.265
Hf: 0.500 0.000 0.597
Hf: 0.500 0.000 0.932
Al: 0.500 0.000 0.382
Al: 0.500 0.000 0.715
Ge: 0.000 0.000 0.111
Ge: 0.000 0.000 0.215
Ge: 0.000 0.000 0.442
Ge: 0.000 0.000 0.548
Ge: 0.000 0.000 0.776
Ge: 0.000 0.000 0.881
Ge: 0.500 0.000 0.049
Ge: 0.500 0.000 0.154
Ge: 0.500 0.000 0.485
Ge: 0.500 0.000 0.820

Most intense lines, 15° ≤ 2θ ≤ 90°, by angle:
- d = 3.379 Å, 2θ 26.4, I 196, hkl 1 0 6
- d = 2.455 Å, 2θ 36.6, I 199, hkl 0 0 18
- d = 2.370 Å, 2θ 38.0, I 1000, hkl 1 1 9
- d = 1.926 Å, 2θ 47.2, I 149, hkl 0 2 0
- d = 1.901 Å, 2θ 47.8, I 143, hkl 2 0 0
- d = 1.181 Å, 2θ 81.5, I 167, hkl 1 3 9

---

No. 3
Structure and theoretical powder diffraction line list of HfAl6Ge (the GGA-PBE geometry in Alexandria; copper Kα).
Peak positions follow from Bragg's law for the DFT cell and can differ from measured ones.

Structural model:
Lattice parameters (Å, degrees): 7.7056 7.7056 9.3091 90.00 90.00 120.00
- - -
It remains to return all of the block earlier on unchanged.
Record 1
Theoretical powder XRD pattern of Li2CrP5O15 for copper Kα, from a structure optimized by DFT (GGA+U).
Kinematic intensities with the Lorentz-polarization factor, no thermal factor.

Most intense lines, 5° ≤ 2θ ≤ 70°, in order of falling intensity:
h k l, d/Å, I (rel.)
1 0 -1, 4.813, 100.0
0 0 2, 4.376, 79.9
1 2 1, 3.463, 73.9
0 0 1, 8.751, 60.3
0 2 1, 5.324, 52.7
0 1 1, 7.330, 48.1
0 3 1, 3.982, 46.5
1 2 -1, 3.910, 37.3
0 3 2, 3.129, 35.7
1 4 0, 2.795, 34.3

Structure:
Unit cell a=5.1604 b=13.4150 c=8.9295 alpha=90.00 beta=101.47 gamma=90.00
Space group P2_1/m (No. 11)
One atom of each set of equivalent atoms:
Li 0.0568 0.1179 0.0897 x4
Cr 0.5000 0.0000 0.5000 x2
P 0.0024 0.1406 0.5193 x4
P 0.3416 0.0764 0.8139 x4
P 0.4559 0.7500 0.9904 x2
O 0.0528 0.2500 0.4620 x2
O 0.1369 0.1455 0.6958 x4
O 0.1535 0.0727 0.4318 x4
O 0.1944 0.0311 0.9249 x4
O 0.1943 0.7500 0.8822 x2
O 0.2860 0.2500 0.0620 x2
O 0.2909 0.6262 0.4969 x4
O 0.4449 0.6570 0.1073 x4
O 0.4862 0.0091 0.7222 x4

***

Record 2
Theoretical powder XRD pattern of LiCrPO4 for copper Kα, from a structure optimized by DFT (GGA+U).
Kinematic intensities with the Lorentz-polarization factor, no thermal factor.

Most intense lines, 5° ≤ 2θ ≤ 70°, in order of falling intensity:
h k l, d/Å, I (rel.)
2 0 0, 3.973, 100.0
0 1 1, 4.382, 90.6
1 3 1, 2.478, 60.5
1 1 0, 6.008, 55.2
2 0 1, 3.107, 42.8
0 2 0, 4.592, 41.4
1 1 1, 3.837, 36.3
2 2 1, 2.573, 32.4
2 1 1, 2.943, 29.9
3 1 2, 1.781, 29.6

Structure:
Unit cell a=7.9445 b=9.1833 c=4.9858 alpha=90.00 beta=90.00 gamma=90.00
Space group Pna2_1 (No. 33)
One atom of each set of equivalent atoms:
Li 0.0487 0.1171 0.0000 x4
Cr 0.1651 0.5394 0.0212 x4
P 0.2308 0.3536 0.6159 x4
O 0.0598 0.4272 0.7030 x4
O 0.1386 0.9569 0.2638 x4
O 0.2242 0.1993 0.7437 x4
O 0.2395 0.8502 0.8148 x4

* * * * *

No. 1
Structure and theoretical powder diffraction line list of AlGeH2S4 (the GGA-PBE geometry in Alexandria; copper Kα).
Peak positions follow from Bragg's law for the DFT cell and can differ from measured ones.

Structural model:
Lattice parameters (Å, degrees): 6.920 7.393 6.348 90.00 90.00 90.00
Space group Pmn2_1 (No. 31)
Inequivalent atoms, fractional coordinates:
Al: 0.000 0.150 0.000
Ge: 0.000 0.846 0.502
H: 0.250 0.147 0.627
S: 0.000 0.153 0.634
S: 0.000 0.853 0.116
S: 0.248 0.310 0.117

Most intense lines, 15° ≤ 2θ ≤ 90°, by angle:
- d = 4.816 Å, 2θ 18.4, I 1000, hkl 0 1 1
- d = 3.696 Å, 2θ 24.1, I 373, hkl 0 2 0
- d = 3.174 Å, 2θ 28.1, I 681, hkl 0 0 2
- d = 3.134 Å, 2θ 28.5, I 612, hkl 2 1 0
- d = 2.007 Å, 2θ 45.2, I 524, hkl 2 3 0
- d = 1.754 Å, 2θ 52.2, I 432, hkl 2 1 3

---

No. 2
Structure and theoretical powder diffraction line list of Hf3AlGe5 (the GGA-PBE geometry in Alexandria; copper Kα).
Peak positions follow from Bragg's law for the DFT cell and can differ from measured ones.

Structural model:
Lattice parameters (Å, degrees): 3.803 3.851 44.181 90.00 90.00 90.00
Space group Amm2 (No. 38)
Inequivalent atoms, fractional coordinates:
Hf: 0.000 0.000 0.000
Hf: 0.000 0.000 0.332
Hf: 0.000 0.000 0.665
Hf: 0.500 0.000 0.265
Hf: 0.500 0.000 0.597
Hf: 0.500 0.000 0.932
Al: 0.500 0.000 0.382
Al: 0.500 0.000 0.715
Ge: 0.000 0.000 0.111
Ge: 0.000 0.000 0.215
Ge: 0.000 0.000 0.442
Ge: 0.000 0.000 0.548
Ge: 0.000 0.000 0.776
Ge: 0.000 0.000 0.881
Ge: 0.500 0.000 0.049
Ge: 0.500 0.000 0.154
Ge: 0.500 0.000 0.485
Ge: 0.500 0.000 0.820

Most intense lines, 15° ≤ 2θ ≤ 90°, by angle:
- d = 3.379 Å, 2θ 26.4, I 196, hkl 1 0 6
- d = 2.455 Å, 2θ 36.6, I 199, hkl 0 0 18
- d = 2.370 Å, 2θ 38.0, I 1000, hkl 1 1 9
- d = 1.926 Å, 2θ 47.2, I 149, hkl 0 2 0
- d = 1.901 Å, 2θ 47.8, I 143, hkl 2 0 0
- d = 1.181 Å, 2θ 81.5, I 167, hkl 1 3 9

---

No. 3
Structure and theoretical powder diffraction line list of HfAl6Ge (the GGA-PBE geometry in Alexandria; copper Kα).
Peak positions follow from Bragg's law for the DFT cell and can differ from measured ones.

Structural model:
Lattice parameters (Å, degrees): 7.7056 7.7056 9.3091 90.00 90.00 120.00